## Material
Model one:
Density functional theory data (PBE) for a relaxed Zr3Sc4N8 crystal.

Computed properties:
Size of the total moment = 0.002 μB per cell
SG = R-3m (166)

Lattice parameters (Å, degrees): 17.842 17.842 17.842 11.36 11.36 11.36
Atoms (fractional coordinates):
Zr1 0.115 0.115 0.115
Sc1 0.267 0.267 0.267
Zr2 0.500 0.500 0.500
Sc2 0.645 0.645 0.645
Sc3 0.733 0.733 0.733
N1 0.812 0.812 0.812
N2 0.064 0.064 0.064
Sc4 0.355 0.355 0.355
Zr3 0.885 0.885 0.885
N3 0.563 0.563 0.563
N4 0.437 0.437 0.437
N5 0.687 0.687 0.687
N6 0.188 0.188 0.188
N7 0.936 0.936 0.936
N8 0.313 0.313 0.313

***

Model two:
Density functional theory data (PBE) for a relaxed Zr3Sc4N8 crystal.

Computed properties:
Size of the total moment = 1.821 μB per cell
SG = R-3m (166)

Lattice parameters (Å, degrees): 3.301 3.301 25.583 58.93 58.93 60.00
Atoms (fractional coordinates):
N1 0.496 0.496 0.189
Zr1 0.985 0.985 0.630
N2 0.508 0.508 0.434
N3 0.499 0.499 0.313
N4 0.504 0.504 0.811
N5 0.523 0.523 0.929
Zr2 0.015 0.015 0.370
N6 0.477 0.477 0.071
Sc1 0.961 0.961 0.765
N7 0.501 0.501 0.687
Sc2 0.050 0.050 0.106
Sc3 0.039 0.039 0.235
N8 0.492 0.492 0.566
Zr3 0.000 0.000 0.500
Sc4 0.950 0.950 0.894

***

Top of the stability list: model one, leading by 0.016 eV/atom.

***

Model one:
Density functional theory data (PBE) for a relaxed TaSeN crystal.

Computed properties:
Size of the total moment = 0.000 μB per cell
SG = P4/nmm (129)

Lattice parameters (Å, degrees): 3.648 3.648 6.380 90.00 90.00 90.00
Atoms (fractional coordinates):
Se1 0.000 0.500 0.380
Ta1 0.500 0.000 0.173
Se2 0.500 0.000 0.620
N1 0.000 0.000 0.000
Ta2 0.000 0.500 0.827
N2 0.500 0.500 0.000

***

Model two:
Density functional theory data (PBE) for a relaxed TaSeN crystal.

Computed properties:
Size of the total moment = 0.002 μB per cell
SG = C2/m (12)

Lattice parameters (Å, degrees): 7.089 3.973 9.323 90.00 68.79 73.73
Atoms (fractional coordinates):
Ta1 0.364 0.318 0.142
N1 0.084 0.458 0.124
N2 0.916 0.542 0.876
Se1 0.671 0.164 0.290
Ta2 0.636 0.682 0.858
N3 0.471 0.765 0.114
N4 0.529 0.235 0.886
Ta3 0.209 0.395 0.887
Se2 0.329 0.836 0.710
Se3 0.809 0.596 0.556
Ta4 0.791 0.605 0.113
Se4 0.191 0.404 0.444

***

Top of the stability list: model one, leading by 0.030 eV/atom.

***

Model one:
Density functional theory data (PBE) for a relaxed Si3N4 crystal.

Computed properties:
Size of the total moment = 0.000 μB per cell
SG = P1 (1)

Lattice parameters (Å, degrees): 10.518 10.837 10.558 89.04 87.75 91.09
Atoms (fractional coordinates):
Si1 0.693 0.564 0.153
N1 0.624 0.724 0.870
Si2 0.073 0.130 0.808
Si3 0.419 0.754 0.906
Si4 0.224 0.943 0.165
N2 0.915 0.166 0.325
N3 0.615 0.703 0.152
N4 0.477 0.349 0.074
N5 0.335 0.042 0.074
Si5 0.650 0.794 0.016
Si6 0.976 0.428 0.394
N6 0.740 0.924 0.717
N7 0.246 0.715 0.917
Si7 0.752 0.993 0.567
Si8 0.430 0.922 0.766
Si9 0.964 0.550 0.873
N8 0.449 0.590 0.933
N9 0.183 0.008 0.738
N10 0.793 0.357 0.694
Si10 0.951 0.953 0.999
Si11 0.974 0.485 0.141
N11 0.342 0.617 0.686
N12 0.443 0.595 0.462
Si12 0.302 0.576 0.839
N13 0.291 0.005 0.777
Si13 0.478 0.009 0.012
N14 0.674 0.524 0.525
N15 0.602 0.975 0.503
Si14 0.394 0.469 0.040
N16 0.017 0.526 0.706
N17 0.502 0.888 0.294
Si15 0.822 0.209 0.740
Si16 0.034 0.632 0.567
Si17 0.749 0.152 0.043
N18 0.955 0.873 0.294
Si18 0.882 0.023 0.247
N19 0.883 0.073 0.089
N20 0.603 0.465 0.259
N21 0.599 0.081 0.086
N22 0.235 0.999 0.317
N23 0.085 0.632 0.164
Si19 0.443 0.974 0.555
N24 0.983 0.801 0.040
Si20 0.039 0.908 0.688
N25 0.567 0.289 0.552
N26 0.823 0.131 0.595
N27 0.176 0.645 0.461
N28 0.726 0.980 0.283
N29 0.542 0.193 0.301
Si21 0.319 0.677 0.535
N30 0.346 0.842 0.510
N31 0.363 0.579 0.215
N32 0.373 0.357 0.365
Si22 0.914 0.870 0.468
N33 0.288 0.799 0.222
Si23 0.654 0.393 0.623
N34 0.759 0.760 0.414
Si24 0.581 0.317 0.188
Si25 0.197 0.598 0.287
N35 0.999 0.331 0.519
N36 0.761 0.902 0.975
N37 0.479 0.841 0.037
N38 0.753 0.145 0.875
Si26 0.672 0.782 0.726
Si27 0.470 0.240 0.445
N39 0.800 0.555 0.887

## What to do
Retype the whole of the entries above with every line break kept.

## Result
Model one:
Density functional theory data (PBE) for a relaxed Zr3Sc4N8 crystal.

Computed properties:
Size of the total moment = 0.002 μB per cell
SG = R-3m (166)

Lattice parameters (Å, degrees): 17.842 17.842 17.842 11.36 11.36 11.36
Atoms (fractional coordinates):
Zr1 0.115 0.115 0.115
Sc1 0.267 0.267 0.267
Zr2 0.500 0.500 0.500
Sc2 0.645 0.645 0.645
Sc3 0.733 0.733 0.733
N1 0.812 0.812 0.812
N2 0.064 0.064 0.064
Sc4 0.355 0.355 0.355
Zr3 0.885 0.885 0.885
N3 0.563 0.563 0.563
N4 0.437 0.437 0.437
N5 0.687 0.687 0.687
N6 0.188 0.188 0.188
N7 0.936 0.936 0.936
N8 0.313 0.313 0.313

***

Model two:
Density functional theory data (PBE) for a relaxed Zr3Sc4N8 crystal.

Computed properties:
Size of the total moment = 1.821 μB per cell
SG = R-3m (166)

Lattice parameters (Å, degrees): 3.301 3.301 25.583 58.93 58.93 60.00
Atoms (fractional coordinates):
N1 0.496 0.496 0.189
Zr1 0.985 0.985 0.630
N2 0.508 0.508 0.434
N3 0.499 0.499 0.313
N4 0.504 0.504 0.811
N5 0.523 0.523 0.929
Zr2 0.015 0.015 0.370
N6 0.477 0.477 0.071
Sc1 0.961 0.961 0.765
N7 0.501 0.501 0.687
Sc2 0.050 0.050 0.106
Sc3 0.039 0.039 0.235
N8 0.492 0.492 0.566
Zr3 0.000 0.000 0.500
Sc4 0.950 0.950 0.894

***

Top of the stability list: model one, leading by 0.016 eV/atom.

***

Model one:
Density functional theory data (PBE) for a relaxed TaSeN crystal.

Computed properties:
Size of the total moment = 0.000 μB per cell
SG = P4/nmm (129)

Lattice parameters (Å, degrees): 3.648 3.648 6.380 90.00 90.00 90.00
Atoms (fractional coordinates):
Se1 0.000 0.500 0.380
Ta1 0.500 0.000 0.173
Se2 0.500 0.000 0.620
N1 0.000 0.000 0.000
Ta2 0.000 0.500 0.827
N2 0.500 0.500 0.000

***

Model two:
Density functional theory data (PBE) for a relaxed TaSeN crystal.

Computed properties:
Size of the total moment = 0.002 μB per cell
SG = C2/m (12)

Lattice parameters (Å, degrees): 7.089 3.973 9.323 90.00 68.79 73.73
Atoms (fractional coordinates):
Ta1 0.364 0.318 0.142
N1 0.084 0.458 0.124
N2 0.916 0.542 0.876
Se1 0.671 0.164 0.290
Ta2 0.636 0.682 0.858
N3 0.471 0.765 0.114
N4 0.529 0.235 0.886
Ta3 0.209 0.395 0.887
Se2 0.329 0.836 0.710
Se3 0.809 0.596 0.556
Ta4 0.791 0.605 0.113
Se4 0.191 0.404 0.444

***

Top of the stability list: model one, leading by 0.030 eV/atom.

***

Model one:
Density functional theory data (PBE) for a relaxed Si3N4 crystal.

Computed properties:
Size of the total moment = 0.000 μB per cell
SG = P1 (1)

Lattice parameters (Å, degrees): 10.518 10.837 10.558 89.04 87.75 91.09
Atoms (fractional coordinates):
Si1 0.693 0.564 0.153
N1 0.624 0.724 0.870
Si2 0.073 0.130 0.808
Si3 0.419 0.754 0.906
Si4 0.224 0.943 0.165
N2 0.915 0.166 0.325
N3 0.615 0.703 0.152
N4 0.477 0.349 0.074
N5 0.335 0.042 0.074
Si5 0.650 0.794 0.016
Si6 0.976 0.428 0.394
N6 0.740 0.924 0.717
N7 0.246 0.715 0.917
Si7 0.752 0.993 0.567
Si8 0.430 0.922 0.766
Si9 0.964 0.550 0.873
N8 0.449 0.590 0.933
N9 0.183 0.008 0.738
N10 0.793 0.357 0.694
Si10 0.951 0.953 0.999
Si11 0.974 0.485 0.141
N11 0.342 0.617 0.686
N12 0.443 0.595 0.462
Si12 0.302 0.576 0.839
N13 0.291 0.005 0.777
Si13 0.478 0.009 0.012
N14 0.674 0.524 0.525
N15 0.602 0.975 0.503
Si14 0.394 0.469 0.040
N16 0.017 0.526 0.706
N17 0.502 0.888 0.294
Si15 0.822 0.209 0.740
Si16 0.034 0.632 0.567
Si17 0.749 0.152 0.043
N18 0.955 0.873 0.294
Si18 0.882 0.023 0.247
N19 0.883 0.073 0.089
N20 0.603 0.465 0.259
N21 0.599 0.081 0.086
N22 0.235 0.999 0.317
N23 0.085 0.632 0.164
Si19 0.443 0.974 0.555
N24 0.983 0.801 0.040
Si20 0.039 0.908 0.688
N25 0.567 0.289 0.552
N26 0.823 0.131 0.595
N27 0.176 0.645 0.461
N28 0.726 0.980 0.283
N29 0.542 0.193 0.301
Si21 0.319 0.677 0.535
N30 0.346 0.842 0.510
N31 0.363 0.579 0.215
N32 0.373 0.357 0.365
Si22 0.914 0.870 0.468
N33 0.288 0.799 0.222
Si23 0.654 0.393 0.623
N34 0.759 0.760 0.414
Si24 0.581 0.317 0.188
Si25 0.197 0.598 0.287
N35 0.999 0.331 0.519
N36 0.761 0.902 0.975
N37 0.479 0.841 0.037
N38 0.753 0.145 0.875
Si26 0.672 0.782 0.726
Si27 0.470 0.240 0.445
N39 0.800 0.555 0.887